PLR Offer: “Money Mindset” Content Bundles

Have you seen the 3 latest content bundles from Piggy Makes Bank’s Money Mindset series?

The matter of finance is always a daily challenge and so all the bundles apply to everyone—families, young people just starting out, people getting ready to retire or anyone that needs to get a handle on their money management skills.

Each bundle includes 10 PLR articles, 10 e-mails and 10 social media posts. A short description of each bundle:

1) Money Mindset: How to KEEP More Of Your Hard Earned Money

News reports are rife with stories that talk about the lack of education surrounding money. Give your readers some guidance on bettering their money mindset to make their future brighter than it might have been.

2) Money Mindset: How To SAVE More Of Your Hard Earned Money

Saving money is important for so many reasons. It’s a fundamental component of financial security. Having a savings in place allows you a great deal of freedom, along with providing peace of mind in times of need.

3) Money Mindset: How To GROW Your Hard Earned Money

How much money can you live on starting from the first day you stop working? Saving for retirement means you need to grow your retirement capital to begin with. Discover simple ways to start investing, investment options, setting up financial goals and more.

Now is the time to inform your readers about the different ways they can take charge of their financial lives. Share the articles on your blog, use them in your newsletter, or compile them into a fresh new lead magnet. Then promote the content using the included e-mails and social media posts.

[$334 Discount] “Money Mindset” Workshop Suite With Full Rights

Entrepreneurship probably isn’t always what your clients dreamed it would be.

Spending their days in an office with no one to talk to but the dog can take a toll on their sanity.

Worse, those less-than-supportive voices in their head keep telling them that they’ll never live up to their dream of being that coach, the one everyone turns to for help, and who’s paid really well for simply offering their opinions.

Pretty soon they begin to believe thoughts like these…

You won’t ever earn a 6-figure salary, and never mind even dreaming about 7 figures.

No one will ever pay top dollar just to hear what you have to say.

You really aren’t that special—there are a million other coaches just like you.

But even though they pick themselves up each and every day and continue to carry on and yes, even make a respectable living, there’s something missing.

### Someone pasted calculated molecules at this point
┌──
Entry 1:
ORCA calculation (wB97M-V/def2-TZVPD) on a 2-piece molecular cluster, C2H7NO overall.

Properties
SMILES: C=O.CN
LUMO level in eV: 0.60
Relative energy (zero: lowest compared OMol25 entry of this formula, charge and spin) in kcal per mole: 47.25
Net charge: 0

Each line ends with the Mulliken charge.
CARTESIAN COORDINATES (ANGSTROEM)
C  2.45  0.12  0.65  -0.061
O  1.74  -0.69  1.18  -0.351
H  3.37  0.52  1.18  0.248
H  2.01  0.78  -0.24  0.165
C  -1.13  0.38  -0.46  -0.590
N  -1.95  -0.79  -0.17  -0.578
H  -1.91  1.21  -0.69  0.263
H  -0.57  0.53  -1.35  0.263
H  -0.48  0.76  0.38  0.178
H  -2.00  -1.36  -1.00  0.213
H  -1.54  -1.46  0.51  0.250

Entry 2:
ORCA calculation (wB97M-V/def2-TZVPD) on a 2-piece molecular cluster, C6H13NO2S overall.

Properties
SMILES: C/C=N\CC.OC(O)=CS
LUMO level in eV: 0.63
Relative energy (zero: lowest compared OMol25 entry of this formula, charge and spin) in kcal per mole: 67.84
Net charge: 0

Each line ends with the Mulliken charge.
CARTESIAN COORDINATES (ANGSTROEM)
C  -1.70  2.13  0.96  -1.137
C  -0.77  0.96  0.94  0.029
N  -0.90  -0.14  0.25  -0.266
C  -2.00  -0.67  -0.52  -0.443
C  -1.34  -1.69  -1.59  -1.074
H  -2.73  1.73  1.09  0.276
H  -1.57  2.82  1.72  0.423
H  -1.50  2.59  -0.07  0.239
H  0.24  1.01  1.10  0.426
H  -2.69  -1.15  0.14  0.387
H  -2.48  0.16  -1.26  0.279
H  -2.06  -2.56  -1.82  0.290
H  -1.21  -1.15  -2.52  0.294
H  -0.41  -2.03  -1.29  0.346
O  1.25  -1.54  0.81  -0.554
C  2.12  -0.58  0.50  0.322
O  3.21  -0.56  1.42  -0.538
C  2.22  0.14  -0.60  -0.148
S  3.37  1.48  -0.79  -0.221
H  0.37  -1.40  0.43  0.344
H  2.94  -0.83  2.31  0.315
H  1.59  -0.04  -1.45  0.313
H  4.06  1.31  0.24  0.099

Entry 3:
ORCA calculation (wB97M-V/def2-TZVPD) on a 2-piece molecular cluster, C3H9NSi overall.

Properties
LUMO level (alpha / beta) in eV: -0.21 / 0.31
Relative energy (zero: lowest compared OMol25 entry of this formula, charge and spin) in kcal per mole: 103.04
Net charge: 0

Each line ends with the Mulliken charge.
CARTESIAN COORDINATES (ANGSTROEM)
C  0.96  1.05  1.72  -0.541
C  -1.89  -0.59  0.70  -0.960
C  1.19  -0.86  -2.28  -0.929
N  -0.09  1.86  1.04  -0.271
Si  -0.27  0.27  0.48  0.128
H  1.95  1.33  1.33  0.246
H  0.80  0.95  2.77  0.250
H  -2.78  -0.06  0.49  0.374
H  -1.83  -1.57  0.03  0.220
H  -2.28  -0.87  1.72  0.348
H  0.74  -1.92  -2.40  0.271
H  0.52  -0.12  -2.79  0.285
H  2.15  -0.51  -1.89  0.341
H  -0.16  2.85  0.94  0.237

Entry 4:
ORCA calculation (wB97M-V/def2-TZVPD) on C32H34N4O2PdSSi as an isolated structure.

Properties
LUMO level in eV: 0.59
Relative energy (zero: lowest compared OMol25 entry of this formula, charge and spin) in kcal per mole: 0.00
Net charge: 0

Each line ends with the Mulliken charge.
CARTESIAN COORDINATES (ANGSTROEM)
Pd  0.90  -0.48  -0.96  0.131
O  5.10  -1.19  -0.34  -0.779
C  3.94  -0.85  -0.12  -0.392
O  3.11  -0.39  -0.99  -0.197
C  3.42  -0.97  1.31  0.854
C  4.29  -1.29  2.35  -0.852
C  3.77  -1.37  3.63  -0.374
└──
### The piece goes on

Negative self-talk about money undermines their self-confidence.

And it continues to do so long after your clients tune that voice out and get back to work.

It’s not just today’s thoughts that are holding them back, either.

Money blocks work their way into their psyche and hang out there for years, wreaking havoc on your clients lives and happiness, and they probably don’t even know it’s happening.

Maybe their parents instilled a scarcity mindset in them as a child, and they simply can’t shake it now that they’re a successful adult.

Maybe an ex-partner made them feel selfish for “spending too much” on clothes or vacations (even though they didn’t).

Or maybe a high-school teacher’s offhand remark about their potential (or lack of it) is still rattling around in their head.

Whatever their situation, one thing is certain: You know that their mindset about money directly effects their income.

Your clients believe that small but insistent voice that says, “Your market won’t pay more” or “You don’t know enough to charge that” or even “You don’t have what it takes to earn a 6-figure income”.

And when they believe it, it becomes true.

But you know that there’s a simple solution, and it all starts with a mindset shift.

## Data records from another source follow
/*
Entry a
C2H2F2O | the ωB97M-V functional and the def2-TZVPD basis

Results
- 2S+1 = 1
- E_HOMO (alpha / beta) (eV) = -8.41 / -8.21

CARTESIAN COORDINATES (ANGSTROEM)
C (1.045, -0.686, -0.160)
C (-1.229, 0.541, -0.053)
O (-0.232, -0.334, -0.001)
F (1.852, 0.421, -0.148)
F (-2.354, -0.150, -0.128)
H (1.189, -1.582, 0.365)
H (-1.260, 1.435, -0.530)

Entry b
C2H2F2O | the ωB97M-V functional and the def2-TZVPD basis

Results
- SMILES = FC1=CO1.F
- 2S+1 = 1
- E_HOMO (eV) = -9.18

CARTESIAN COORDINATES (ANGSTROEM)
F (-0.543, -2.152, -0.882)
C (-0.583, -1.047, -0.182)
C (-1.181, -0.012, 0.273)
O (0.386, -0.575, 0.531)
H (-1.526, 1.057, 0.444)
F (1.569, 1.810, -0.147)
H (1.878, 0.918, -0.037)

The winner here is entry b, beating the second structure by 0.097 eV.

Entry a
C50H36F2N5O5PS2SeY | the ωB97M-V functional and the def2-TZVPD basis

Results
- 2S+1 = 2
- ⟨S²⟩ = 0.778
- total charge = -2
- E_HOMO (alpha / beta) (eV) = -1.14 / -2.74

CARTESIAN COORDINATES (ANGSTROEM)
Y (-0.713, -0.363, -0.452)
O (-1.050, -2.630, 0.134)
N (-1.108, -3.674, -0.649)
C (-0.739, -4.863, -0.130)
C (-0.789, -6.017, -0.863)
C (-1.223, -5.937, -2.189)
C (-1.579, -4.720, -2.706)
C (-1.523, -3.538, -1.945)
S (-1.924, -1.997, -2.526)
H (-0.411, -4.786, 0.895)
H (-0.478, -6.947, -0.410)
H (-1.268, -6.824, -2.809)
H (-1.906, -4.620, -3.732)
O (1.694, -3.570, -1.686)
C (2.102, -2.423, -1.461)
O (1.487, -1.516, -0.837)
C (3.483, -2.072, -2.044)
C (4.080, -3.055, -2.831)
C (5.303, -2.860, -3.445)
C (5.967, -1.655, -3.266)
C (5.394, -0.670, -2.478)
C (4.152, -0.850, -1.863)
P (3.371, 0.544, -0.945)
C (3.529, 0.028, 0.792)
C (4.011, -1.204, 1.219)
C (4.061, -1.505, 2.573)
C (3.632, -0.581, 3.512)
C (3.149, 0.652, 3.096)
C (3.091, 0.950, 1.744)
C (4.687, 1.809, -1.030)
C (5.732, 1.921, -0.117)
C (6.680, 2.926, -0.242)
C (6.602, 3.832, -1.291)
C (5.563, 3.733, -2.207)
C (4.610, 2.736, -2.070)
H (3.527, -3.979, -2.943)
H (5.740, -3.641, -4.057)
H (6.930, -1.477, -3.732)
H (5.923, 0.263, -2.341)
H (4.337, -1.937, 0.491)
H (4.424, -2.476, 2.890)
H (3.639, -0.831, 4.566)
H (2.773, 1.367, 3.819)
H (2.674, 1.895, 1.421)
H (5.797, 1.216, 0.701)
H (7.485, 3.001, 0.479)
H (7.340, 4.619, -1.386)
H (5.485, 4.447, -3.019)
H (3.782, 2.679, -2.769)
F (-4.396, 4.250, -0.769)
C (-3.344, 3.612, -1.358)
C (-2.850, 2.451, -0.807)
C (-1.772, 1.779, -1.401)
C (-1.209, 2.367, -2.561)
C (-1.769, 3.531, -3.088)
F (-1.296, 4.086, -4.248)
C (-2.837, 4.182, -2.512)
C (-0.056, 1.685, -3.203)
C (0.862, 2.313, -4.054)
C (1.858, 1.559, -4.646)
C (1.910, 0.194, -4.418)
C (0.989, -0.343, -3.534)
N (0.072, 0.385, -2.904)
H (-3.323, 2.057, 0.086)
H (-3.257, 5.078, -2.943)
H (0.782, 3.371, -4.241)
H (2.583, 2.037, -5.296)
H (2.655, -0.445, -4.872)
H (0.960, -1.404, -3.319)
Se (-0.937, 2.788, 3.964)
N (-0.525, 1.424, 5.086)
C (-0.227, 0.379, 4.308)
C (0.170, -0.882, 4.767)
C (0.480, -1.856, 3.829)
C (0.367, -1.575, 2.473)
N (-0.035, -0.396, 1.979)
C (-0.309, 0.583, 2.870)
N (-0.663, 1.798, 2.469)
H (0.239, -1.055, 5.834)
*/
## The page goes on

And now, using CoachGlue’s exclusive Money Mindset Bundle, you can take your clients by the hand and walk them through the steps they need to take to change their beliefs around money once and for all, so they can finally:

Gain the confidence they need to charge what they’re really worth (it’s probably at least double what they’re currently charging)

Set and achieve those really BIG goals that they see so many other coaches making (Travel more? Yes! Speaking engagements? Absolutely! Time for charity work? You better believe it!)

Let go of the scarcity mindset so they can reach for their dreams with confidence and determination (rather than shrinking back in fear)

But you’ve only got TODAY to grab this done-for-you workshop suite (and save $334!), and then this deal is gone!

PLR Offer: “Busting Your Money Blocks” Planner

Do you know the mental money blocks that are preventing you from getting rich?

Most probably not. The truth is these blocks reside in your subconscious for longer than you would dare to admit, but we can be hesitant to “man up” and confront them.

Some of the crap we carry about money is honestly ridiculous.

“Wealthy people are greedy.” I call B.S. Some of the most generous, kind people I know are wealthy. Having more money and power makes it easier to make a difference and an impact with the causes that pull at your heart.

“I just want to help people. I’m not doing this to get rich.” Oh, no. As long as you think this thought, you surely won’t be. You CAN help people AND become wealthy doing so.

Busting Your Money Blocks

CoachGlue releases their latest planner called “Busting Your Money Blocks” and if you grab it soon, you can save nearly 50%—no coupon needed.

Also let you know that there is a special Money Mindset Bundle offer that you’ll see after you get the planner.

With the Money Mindset Bundle, you’ll get both of these for 75% off:

• Money Mindset to Help You Soar Workshop ($297 value)
• 7 Ways to Manifest More Money in Your Business ($97 value)

Attached: quantum chemistry results.
/*
Record 1
The following is a quantum chemistry calculation of a molecular structure, C7H15N at a distorted geometry, from the Open Molecules 2025 dataset.

Results
orbital gap: 6.927 eV
energy: -330.22586 hartree
maximum force: 5.8 eV/Å
energy above the lowest of the compared OMol25 structures with the same formula, charge and spin: 151.9 kcal per mole
HOMO: -7.61 eV

Cartesian coordinates (Å):
C1 -1.6617 0.0197 1.1230
N1 -1.0330 1.2461 0.7912
C2 3.2944 -0.2897 0.4889
C3 2.4311 0.2831 -0.6840
C4 1.1076 -0.0339 -0.7906
C5 0.2835 1.1438 0.5348
C6 -2.1099 -0.9478 -0.0967
C7 -2.5674 -0.0288 -1.2036
H1 -1.0286 -0.6220 1.8363
H2 -2.5836 0.3208 1.6470
H3 -1.2772 -1.6033 -0.3527
H4 3.8040 -1.2706 0.2974
H5 2.4830 -0.6061 1.1414
H6 3.0443 0.4648 -1.5794
H7 0.1931 -0.1025 -1.4468
H8 1.0524 -0.9767 -0.2168
H9 0.8009 0.8125 1.4666
H10 0.5739 2.1653 0.2654
H11 4.1743 0.3285 0.6355
H12 -2.8428 -1.5715 0.4175
H13 -2.8366 -0.3488 -2.2023
H14 -1.9728 0.8975 -1.2075
H15 -3.3287 0.7195 -0.8642


Record 2
The following is a quantum chemistry calculation of 2 unconnected molecules or ions with the total composition C7H10N2O at a distorted geometry, from the Open Molecules 2025 dataset.

Results
orbital gap: 8.282 eV
energy: -457.39470 hartree
maximum force: 3.3 eV/Å
energy above the lowest of the compared OMol25 structures with the same formula, charge and spin: 71.6 kcal per mole
HOMO: -7.54 eV

Cartesian coordinates (Å):
C1 0.2285 1.3489 1.4529
C2 0.7463 0.1707 0.9328
C3 -0.0242 2.2392 0.4698
C4 0.8099 0.4024 -0.4338
C5 0.7009 -2.7981 1.5286
C6 0.3853 2.2777 -1.9969
C7 -1.7054 -3.0507 0.7310
N1 0.4018 1.6818 -0.6591
N2 -0.3660 -2.8814 1.1226
O1 1.2633 -0.4043 -1.4651
H1 0.0495 1.5209 2.4963
H2 0.9837 -0.6322 1.5574
H3 -0.4247 3.1881 0.4405
H4 1.9633 -1.0174 -1.2034
H5 -0.5425 2.1534 -2.4966
H6 0.6143 3.3768 -1.8444
H7 1.1130 1.7409 -2.4968
H8 -2.0213 -2.1994 0.0368
H9 -1.8101 -3.9917 0.2026
H10 -2.3654 -3.1254 1.6247


Record 3
The following is a quantum chemistry calculation of 11 unconnected molecules or ions with the total composition C15H35N11O20 at a distorted geometry, from the Open Molecules 2025 dataset.

Results
SMILES: C[N+](=O)[O-].C[N+](=O)[O-].C[N+](=O)[O-].C[N+](=O)[O-].C[N+](=O)[O-].C[N+](=O)[O-].C[N+](=O)[O-].C[N+](=O)[O-].C[N+](=O)[O-].C[N+](=O)[O-].c1ccncc1
orbital gap: 8.952 eV
energy: -2698.67076 hartree
maximum force: 3.3 eV/Å
energy above the lowest of the compared OMol25 structures with the same formula, charge and spin: 0.0 kcal per mole
HOMO: -9.18 eV

Cartesian coordinates (Å):
N1 1.5221 2.1991 -0.8546
C1 0.4578 1.4197 -0.9816
C2 0.3538 0.0896 -0.7215
C3 1.5342 -0.4530 -0.0697
C4 2.5703 0.4041 0.2950
C5 2.5500 1.6878 -0.2470
H1 -0.4027 1.9596 -1.3910
H2 -0.5580 -0.4577 -0.9640
H3 1.5072 -1.4876 0.2498
H4 3.5184 0.1145 0.8038
H5 3.4848 2.2985 -0.2507
C6 -4.2719 -0.0064 -4.0233
N2 -4.0293 -1.0805 -3.0091
O1 -3.3772 -0.8702 -2.0331
O2 -4.5382 -2.1773 -3.2589
H6 -3.9511 0.9228 -3.5918
H7 -5.3118 -0.0559 -4.2928
H8 -3.6236 -0.1757 -4.8287
*/
The piece goes on.

If you want the Money Mindset Bundle only, you can get it here.

Both these packages will be very helpful towards enlightening your clients about their own money beliefs.